Where are we now?

As of 1 January 2023, IFRS 17 replaced the interim IFRS 4 standard, in force since 2004. In the Irish (re)insurance market work on opening balance sheet restatements is generally well progressed.

Most (re)insurers were in a position to provide the required IAS 8 pre transition disclosures in their 2022 financial statements. There is however much to do over 2023, and beyond, to operationalise, embed and optimise reporting under IFRS 17 in the post-implementation phase.

What are the focus areas in 2023?

Measuring the opening IFRS 17 balance sheet and transition adjustments were complex, however the focus now is shifting to the next immediate challenges. (Re)insurers now are required to move to a position, for FY2023, to be able to present comparative information applying IFRS 17 and provide the full and extensive new set of disclosures that IFRS 17 requires.  We expect during 2023 there will be an acceleration in the development of controls / processes, training, and updating the finance target operating model to reflect the changes that IFRS 17 brings and ensure reporting readiness for FY 2023.

In the Irish market this work is largely being carried by IFRS 17 project teams. There is still some way to go to wind these down and transfer to a business-as-usual model (BAU).  All this means is, for most, there is still some way to go to embed a smooth end to end IFRS 17 reporting process, with efficient data flows, reporting systems, and controls.

From an external audit perspective, the focus to date has been on the opening balance sheet and accounting policy decisions which would have formed the basis of the IAS 8 pre-transition disclosures. (Re)insurers will need to have an even greater level of engagement with their auditors during the audit of their 2023 financial statements which will incorporate the opening balance sheet, 2022 comparatives, 2023 results and associated disclosures all prepared under IFRS 17. This may stretch internal teams and have secondary impacts on other planned core activities.

What are the potential challenge areas?

Explaining the results

Attached: materials data:
=====
[1]
A plane-wave DFT calculation with PBE was carried out for an optimized crystal structure of Li4CeSn.

Calculated values
For the total magnetization, the calculation gives 7.377 Bohr magnetons per cell. Its density of states at the Fermi level is 45.68 states/eV/cell. The calculation puts the energy at -72.7 eV/cell.

Unit cell a=7.9060 b=7.9060 c=7.9060 alpha=90.00 beta=90.00 gamma=90.00
Space group F-43m (No. 216)
Symmetry-distinct sites (fractional):
Li  0.1242  0.1242  0.1242 [16 per cell]
Ce  0.0000  0.0000  0.5000 [4 per cell]
Sn  0.2500  0.2500  0.7500 [4 per cell]

***

[2]
A plane-wave DFT calculation with PBE was carried out for an optimized crystal structure of SrLiV.

Calculated values
For the total magnetization, the calculation gives 3.848 Bohr magnetons per cell. The calculation puts the relative energy among the computed polymorphs at 373.4 meV per atom. Its density of states at the Fermi level is 1.91 states/eV/cell.

Unit cell a=5.4294 b=5.4294 c=3.1439 alpha=90.00 beta=90.00 gamma=120.00
Space group P-6m2 (No. 187)
Symmetry-distinct sites (fractional):
Sr  0.0000  0.0000  0.0000 [1 per cell]
Li  0.6667  0.3333  0.5000 [1 per cell]
V  0.3333  0.6667  0.0000 [1 per cell]

***

[3]
A plane-wave DFT calculation with PBE was carried out for an optimized crystal structure of In2PdPb2.

Calculated values
For the total magnetization, the calculation gives 0.000 Bohr magnetons per cell. The calculation puts the relative energy among the computed polymorphs at 80.4 meV per atom. Its density of states at the Fermi level is 2.17 states/eV/cell.

Unit cell a=7.3135 b=7.3135 c=5.1844 alpha=90.00 beta=90.00 gamma=90.00
Space group P4/mbm (No. 127)
Symmetry-distinct sites (fractional):
In  0.1600  0.3400  0.0000 [4 per cell]
Pd  0.0000  0.0000  0.5000 [2 per cell]
Pb  0.1573  0.6573  0.5000 [4 per cell]

***

[4]
A plane-wave DFT calculation with PBE was carried out for an optimized crystal structure of ReTcP2.

Calculated values
For the total magnetization, the calculation gives 0.000 Bohr magnetons per cell. The calculation puts the relative energy among the computed polymorphs at 60.7 meV per atom. Its density of states at the Fermi level is 6.06 states/eV/cell.

Unit cell a=3.0163 b=3.0163 c=20.9731 alpha=90.00 beta=90.00 gamma=120.00
Space group R3m (No. 160, hexagonal axes)
Symmetry-distinct sites (fractional):
Re  0.0000  0.0000  0.0000 [3 per cell]
Tc  0.0000  0.0000  0.8431 [3 per cell]
P  0.0000  0.0000  0.4224 [3 per cell]
P  0.0000  0.0000  0.5875 [3 per cell]

***

The lowest density of states at the Fermi level belongs to which entry? SrLiV

***

Number 3 is which compound? In2PdPb2

***

Among the records above, which one has the lowest density of states at the Fermi level? SrLiV

***

Which value of density of states at the Fermi level does entry 3 give? 2.17 states/eV/cell
=====

It is well understood that at a practical level the IFRS 17 statement of financial position and profit or loss are presented differently to the previous standard. The timing of profit recognition has changed, premium revenue is no longer on the face of the income statement, replaced by insurance revenue, and there will be additional elements such as the Contractual Service Margin (CSM), loss components, discounting etc.

This is going to create a change in how financial statements need to be interpreted. The challenge being the ability to understand the various liability components and explain the drivers for changes between the opening and closing positions to relevant stakeholders. In the early periods of reporting under IFRS 17 the results may be less intuitive than under the existing standard. Explanations and analysis previously provided need to be updated to align to the new presentation and financial drivers. Reconciling back to previous accounting basis should be limited to encourage an embedding of the new result.

However, while not ideal, for less advanced (re)insurers dual IFRS 17 / IFRS 4 reporting is likely to continue in to 2023 and beyond. This allows for the “safety net” of being able to compare this year on year results between IFRS 4 and IFRS 17 to provide confidence and context over the results and minimise the risk of misinterpretation. This will, of course, create a burden on financial reporting teams, and the project teams involved in implementing IFRS 17

Market comparatives will also be challenging due to differences between companies’ accounting policies. o The aim of IFRS 17 was to improve comparability, however a KPMG analysis of recent market disclosures (insights included below) show a range of policy choices and subsequent impact on results. Taking discount rates as the example, some companies are incorporating the illiquidity premium based on their own mix of assets and others are leveraging their Solvency II illiquidity premium. Two companies with similar portfolios could report very different results and direct comparison of metrics would therefore not be meaningful.

All of the above increases the reliance on a robust control environment to ensure there is confidence in the figures being reported under IFRS 17. This needs to be combined with an intense period of training so that internal users of the financial statements fully understand what is changing, how it is changing and what the business implications are.

-- Calculated crystals, as found in the file --
<<<
KFeOs | PBE | relaxed

Results
- DFT formation energy (eV/atom) = 0.920
- Fermi-level density of states (states/eV/f.u.) = 3.59
- energy relative to the lowest polymorph listed for this composition (meV/atom) = 97
- magnetization (μB/f.u.) = 1.42

abc: 7.2016 7.2016 7.2016
angles: 156.48 156.48 33.50
Sites, in units of the cell vectors:
1 K 0.0000 0.0000 0.0000
2 Fe 0.7084 0.7084 0.0000
3 Os 0.2955 0.2955 0.0000

***

K2FeOs2 | PBE | relaxed

Results
- DFT formation energy (eV/atom) = 1.270
- Fermi-level density of states (states/eV/f.u.) = 6.58
- energy relative to the lowest polymorph listed for this composition (meV/atom) = 238
- magnetization (μB/f.u.) = 3.02

abc: 11.4569 11.4569 11.4569
angles: 162.44 162.44 24.93
Sites, in units of the cell vectors:
1 K 0.1166 0.1166 0.0000
2 K 0.8834 0.8834 0.0000
3 Fe 0.5000 0.5000 0.0000
4 Os 0.2500 0.7500 0.5000
5 Os 0.7500 0.2500 0.5000

=====

Density functional theory data (GGA-PBE) for a relaxed structure of SrEuAgSn.

Values from the calculation:
E ... -0.38192 Ry/atom
Calculated density ... 6.4 Mg/m³

```
data_SrEuAgSn
_chemical_formula_sum 'Sr4 Eu4 Ag4 Sn4'
_cell_length_a 7.862
_cell_length_b 7.862
_cell_length_c 7.862
_cell_angle_alpha 90.00
_cell_angle_beta 90.00
_cell_angle_gamma 90.00
_space_group_name_H-M_alt 'F -4 3 m'
_space_group_IT_number 216
_space_group_name_Hall 'F -4 2 3'
loop_
_atom_site_label
_atom_site_fract_x
_atom_site_fract_y
_atom_site_fract_z
_atom_site_occupancy
Sr1 0.000 0.000 0.000 1
Eu1 0.000 0.000 0.500 1
Ag1 0.250 0.250 0.250 1
Sn1 0.250 0.250 0.750 1
```


Density functional theory data (GGA-PBE) for a relaxed structure of KZrBe2.

Values from the calculation:
E ... -0.27258 Ry/atom
Calculated density ... 3.1 Mg/m³
Energy above the most stable polymorph in this dataset ... 108 meV/atom

```
data_KZrBe2
_chemical_formula_sum 'K1 Zr1 Be2'
_cell_length_a 2.960
_cell_length_b 2.960
_cell_length_c 8.972
_cell_angle_alpha 90.00
_cell_angle_beta 90.00
_cell_angle_gamma 90.00
_space_group_name_H-M_alt 'P 4 m m'
_space_group_IT_number 99
loop_
_space_group_symop_operation_xyz
'x,y,z'
'-y,x,z'
'-x,-y,z'
'y,-x,z'
'-x,y,z'
'y,x,z'
'x,-y,z'
'-y,-x,z'
loop_
_atom_site_label
_atom_site_fract_x
_atom_site_fract_y
_atom_site_fract_z
_atom_site_occupancy
K1 0.000 0.000 0.000 1
Zr1 0.500 0.500 0.393 1
Be1 0.000 0.000 0.601 1
Be2 0.500 0.500 0.694 1
```


Density functional theory data (GGA-PBE) for a relaxed structure of BaBiPb2.

Values from the calculation:
E ... -0.26353 Ry/atom
Calculated density ... 8.1 Mg/m³

```
data_BaBiPb2
_chemical_formula_sum 'Ba4 Bi4 Pb8'
_cell_length_a 9.459
_cell_length_b 9.459
_cell_length_c 6.940
_cell_angle_alpha 90.00
_cell_angle_beta 90.00
_cell_angle_gamma 90.00
_space_group_name_H-M_alt 'I -4 2 d'
_space_group_IT_number 122
_space_group_name_Hall 'I -4 2bw'
loop_
_atom_site_label
_atom_site_fract_x
_atom_site_fract_y
_atom_site_fract_z
_atom_site_occupancy
Ba1 0.000 0.000 0.000 1
Bi1 0.000 0.000 0.500 1
Pb1 0.210 0.750 0.625 1
```
>>>
-- The calculated crystals stop here --

Market developments

2022 brought an unprecedented level of market volatility, bringing higher interest rates than previously observed. This may result in (re)insurers reassessing policy decisions e.g. redesigning systems to make use of the OCI option available under IFRS 17 and reduce profit or loss volatility, or reassessing decisions made based on materiality that need to be reviewed in the context of a changed environment.

For example, when performing Premium Allocation Approach (“PAA”) eligibility testing one of the main drivers of differences between the PAA and General Measurement Model (“GMM”) is higher interest rates. The current environment may result in contracts no longer being PAA eligible.

From the perspective of life insurance contracts, the potentially long-tailed nature of the contracts means that they are more exposed to movements in interest rates and that this can impact the CSM upon inception. The rate increases observed in recent months may therefore lead to a material change in the expected profitability and grouping of contracts.

More generally, interest rates may also be a consideration for the risk adjustment, where approaches have leveraged, for example, cost of capital type approaches.

The consideration of stress and scenario testing on the valuation of IFRS 17 insurance contract liabilities is still a work in progress for many (re)insurers. The focus to date being on base case results. As a result, interest rate sensitivity to the measurement insurance contracts may be as yet somewhat unknown and lead to new challenges in reporting, understanding and communicating results. 

Systems Refinements

Many insurers started out with ambitious plans to use IFRS 17 as an opportunity to revamp their finance operations as they implemented IFRS 17. The implementation of the standard has however been hugely complex, taken longer and cost more than the industry originally anticipated. Many firms scaled back ambitions for go-live date and now have large scale projects continuing into 2023 to make sure working day timetables can be met in a sustainable way going forwards, to put operating model plans into place and to eliminate manual workarounds.

This ongoing IFRS 17 project based work will continue to put strain on the already under pressure BAU teams. Even addressing the issues above and moving IFRS 17 to BAU, there will be some time before companies will have a smooth, stable process. Companies need to factor this into their planning over 2023 and in to 2024 and should consider:

  • Whether there are resources available to ensure Solvency II quarterly reporting is not impacted?
  • Whether the business planning and ORSA process factored in the full complexity of planning on an IFRS 17 basis?
  • Whether teams are available and ready to engage with external audit? In particular, entities should consider:
    • Whether the governance of implementation and transition activities is appropriately evidenced.
    • Whether new processes and controls to address new risks been sufficiently documented ahead of the audit process commencing.
    • Whether accounting manuals and accounting policy documentation have been sufficiently updated for the impacts of IFRS 17.

How KPMG can help

While the first audited set of IFRS 17 results is the culmination of years-long development, as above we expect activities to continue throughout 2023 and beyond. We expect insurers to remain agile over 2023 and react to internal and external factors as they arise. 

KPMG have local and global experts with strong technical and market experience at the forefront of IFRS 17, IFRS 9 and Solvency II implementation that can assist you on your IFRS 17 journey. KPMG has a successful track record of providing a broad range of services to clients, including:

  • Peer review/challenge of IFRS 17 assumptions and calculations
  • Reviewing the processes, controls and governance arrangements in place for financial reporting purposes
  • Providing IFRS 17 training to Boards, Audit Committees and Finance teams
  •  Reviewing and assisting with the production of IFRS 17 accounting policy papers and accounting manuals 
  • Reviewing and assisting with the production of pro-forma financial statements and disclosures 
  • Review model governance including model risk framework, policies and procedures, accountability of key stakeholders, senior management oversight
  • Assessing appropriateness of systems, data and internal controls
  • Reviewing and supporting in the production of procedural documentation
  • Assessing Management Information / KPI’s under IFRS 17
  • Review and support in developing proforma financial statements and disclosures
  • Reviewing and designing the Finance Target Operating model for any required updates to support IFRS 17 
  • Assessing the efficiency and effectiveness of end-to-end finance processes, including the impact on the overall working day timetable
  • Design and support for digital reporting tools and report production automation 
  • Reviewing and designing the Finance Target Operating model for any required updates to support IFRS 17 
  • Assessing the efficiency and effectiveness of end-to-end finance processes, including the impact on the overall working day timetable
  • Design and support for digital reporting tools and report production automation